Can You Freeze Cantaloupe? Melon Explained

Contrary to common knowledge, cantaloupe, also known as sweet-melon, is in fact a group of closely-related melon species1 that present mealy orange-flesh when cut as well as a distinctly sweet taste. 

While cantaloupe is primarily consumed fresh, there are certain instances where it is used as a garnish or topping for other desserts. Because of this, it is not uncommon to need to preserve cantaloupe for certain periods of time.

Like other forms of high water-content produce, cantaloupes suffer at a cellular level when placed in a freezer. This means that once frozen, the quality of cantaloupes will decrease, both texture and taste-wise. Should you still wish to freeze your cantaloupe, certain procedures must be followed.

How Long Does Cantaloupe Last on the Counter?

Provided that the cantaloupe’s skin has not been pierced or penetrated in any significant way, your cantaloupe will last up to seven days in a room with ordinary conditions.

In the event that the cantaloupe’s skin has been compromised, or perhaps the entire fruit has been sliced, it will only last a short three to four hours at room temperature.

Note that rooms with high humidity or a higher temperature than 68–72 °F will hasten the spoilage of your melon, regardless of whether the skin is intact or not. This is due to warm temperatures and moisture catalyzing the development of microbiological life2.

Can You Refrigerate Cantaloupe Instead?

As freezing cantaloupe will affect its texture and taste, the second best option is to instead refrigerate your melon. This is essential in the event that the melon has already been sliced and exposed to the air.

In order to freeze your sliced cantaloupe appropriately, place the entirety of your slices into an air-tight container free of excess moisture. Note that the melon will darken over time due to the interaction between cantaloupe enzymes and oxygen. This will allow the melon slices to last for up to three days, in ideal conditions.

Alternatively, to freeze a whole cantaloupe, simply wrapping the melon in plastic or foil should be sufficient. Keeping the melon unsliced during refrigeration will preserve it for up to ten days, far longer than if it were cut open.

Equipment Needed for Storing Cantaloupe

In order to freeze your cantaloupe melon, you will need a sufficiently large enough knife, tissue paper, a baking tray and enough resealable plastic bags to contain the melon slices.

Processing the Cantaloupe

First, slice the cantaloupe into cubes or similar small shapes so as to store them conveniently. Make sure to remove the seeds if they are present, as these will be harder to pick out after freezing. If desired, separate the flesh from the melon rind, though this step is optional.

Place the melon slices onto a tissue paper lined baking tray, drying the surface of the tray as much as possible. Keep a small amount of space between slices, and avoid pressing the fruit together. This step is to ensure that the melons do not freeze into a single clump, as well as to allow easy removal from the plastic bags.

After separating the slices, place the tray uncovered into the freezer for approximately thirty minutes. 

Freezing the Cantaloupe

Remove the now frozen slices of cantaloupe from the tray and place into separate plastic bags, keeping an inch of open air between the melon and the opening of the bag. This space will be filled in case the melons expand over time.

Place the filled bags into the freezer, away from anywhere they may be crushed or punctured.

Removing the Cantaloupe from the Freezer

While the ideal way to defrost your cantaloupe is to remove it from the freezer and instead transfer it to the fridge for up to eight hours, there may come a time where you will need the melon slices sooner.

In this particular circumstance, first ensure that the bag is free of any tears or holes that may compromise the melon. After seeing to this, fill a bowl with room temperature water from the tap and submerge the bag beneath the water.

Change out the water within the bowl every twenty minutes, making sure that it is not too warm, as this will contribute to the loss of textural quality. The melons should be defrosted enough for eating within an hour, or three cycles of soaking.

How Long will Cantaloupe Last in the Freezer?

If following the procedures within this article, the sliced cantaloupe should last up to an entire year, though the loss of texture and color will take place sooner than that span of time.

• Attached: data records:
********
{
  "formula": "C22H35Cl2N4O3Rh",
  "method": "ωB97M-V/def2-TZVPD",
  "elements": ["O", "C", "C", "C", "H", "C", "H", "C", "H", "C", "H", "C", "H", "H", "C", "C", "H", "H", "H", "C", "C", "H", "H", "H", "H", "Rh", "Cl", "Cl", "H", "H", "C", "C", "N", "H", "C", "O", "H", "H", "H", "H", "H", "H", "C", "C", "N", "H", "C", "O", "H", "H", "H", "H", "C", "C", "C", "C", "N", "N", "C", "H", "H", "H", "H", "H", "H", "H", "H"],
  "positions_angstrom": [[0.9054, 1.6705, -2.9503], [0.9793, 2.8827, -3.0516], [0.9290, 3.6752, -4.3344], [0.9055, 3.0401, -5.5917], [0.9008, 1.9514, -5.6385], [0.8886, 3.7899, -6.7748], [0.8803, 3.2873, -7.7443], [0.8926, 5.1916, -6.7297], [0.8963, 5.7780, -7.6548], [0.8863, 5.8311, -5.4815], [0.8878, 6.9236, -5.4484], [0.8908, 5.0796, -4.3053], [0.8739, 5.5790, -3.3370], [1.0402, 3.5008, -2.1350], [2.5425, 1.6005, -0.4442], [1.5089, 1.0982, 0.4870], [3.5504, 1.4176, -0.0423], [2.4033, 2.6822, -0.5969], [2.4260, 1.0847, -1.3984], [1.6855, 0.9888, 1.8227], [3.0003, 1.0186, 2.5527], [0.8078, 0.8199, 2.4340], [3.7028, 1.7382, 2.1117], [3.4975, 0.0354, 2.5735], [2.8277, 1.2958, 3.6001], [-0.1977, 0.3335, -0.2409], [0.8694, -0.8505, -1.9907], [-1.0833, 2.3508, -1.0584], [-2.6711, 0.1242, -4.3694], [-2.3425, -2.1608, -4.7447], [-2.0739, 0.1087, -3.4501], [-1.8633, -2.3338, -3.7769], [-2.1762, -1.2309, -2.8842], [-2.4346, 0.8594, -2.7449], [-2.3004, -1.4775, -1.5801], [-2.2189, -0.6139, -0.6713], [-2.2442, -3.2558, -3.3267], [-2.4749, -2.5426, -1.3297], [-1.0323, 0.3448, -3.7054], [-0.7779, -2.4267, -3.9261], [-3.4173, 1.0774, 4.2390], [-5.1957, 2.4641, 2.4568], [-2.7579, 1.8570, 3.8255], [-4.2640, 2.9879, 2.2037], [-3.0996, 2.1448, 2.4368], [-1.7157, 1.5349, 3.9060], [-2.4583, 1.5710, 1.4109], [-1.3874, 0.9320, 1.5492], [-4.2841, 3.2639, 1.1465], [-2.9391, 1.7225, 0.4275], [-2.9118, 2.7701, 4.4125], [-4.1977, 3.8926, 2.8172], [1.8112, -4.7763, 0.3816], [0.9343, -3.6821, 0.8253], [-0.0844, -3.6167, 1.7701], [-0.6405, -2.3204, 1.7032], [0.0331, -1.6246, 0.7499], [0.9981, -2.4526, 0.2890], [-1.7879, -1.8286, 2.4838], [2.4861, -5.0899, 1.1883], [1.2137, -5.6511, 0.0932], [2.4194, -4.4769, -0.4798], [-0.4068, -4.4196, 2.4040], [1.5504, -2.1763, -0.5341], [-1.5051, -1.0159, 3.1644], [-2.1618, -2.6555, 3.1024], [-2.6051, -1.4986, 1.8316]],
  "homo_lumo_gap_ha": [0.114, 0.173],
  "total_energy_ha": -2334.79140,
  "multiplicity": 5
}

=====

{
  "formula": "C8H8ClCuNO4",
  "method": "ωB97M-V/def2-TZVPD",
  "elements": ["C", "N", "C", "C", "O", "C", "C", "C", "Cl", "C", "O", "O", "C", "O", "H", "H", "H", "H", "H", "H", "H", "H", "Cu"],
********

Keep in mind that there is truly no replacement for fresh produce, and freezing your cantaloupe is only an alternative to purchasing them fresh when needed.

Is Pre-freezing the Cantaloupe on a Baking Tray Necessary?

No, first placing and freezing the cantaloupe on a baking tray is not a necessary step to this process. If pressed for time, simply placing the sliced melons in a bag will more than suffice.

However, this may produce clumps of melon that have been frozen together, or even fastened to the inside of the bag. If the melon is being preserved for purposes such as smoothies or grating, pre-freezing it is not needed.

Signs of Spoilage in Cantaloupe

In the unlikely event that your cantaloupe has begun to spoil during preservation, there are several clear signs.

First, an unusual odor emanating from the flesh of the fruit is a clear sign that the melon requires disposal. Apart from foul smells, the presence of mold or fungal growths along the surface or even on the flesh is a sure-fire sign of spoilage.

A slight darkening of color as well as mushy texture is entirely normal if you have frozen the cantaloupe, however, as this is simply the result of cell-damage from freezing as well as the effect of the melon’s own enzymes.


1. Kirkbride, J. H., Jr. (1993) Biosystematic monograph of the genus Cucumis (Cucurbitaceae) Parkway Publishers, Inc.

### What comes next are data records, not part of the piece
'''
[1]
Here is C28H38BeCl5N2SbSi3 as an isolated structure from the Open Molecules 2025 dataset. Energies are from ωB97M-V/def2-TZVPD.

Atoms and positions in Å:
Be  -0.86  1.06  -0.80
C  2.75  -1.68  -0.60
Sb  0.64  -1.31  -0.87
C  0.70  0.81  -1.48
C  1.82  1.63  -0.92
C  1.55  2.79  -0.17
C  2.58  3.59  0.27
C  3.89  3.24  -0.03
C  4.08  2.08  -0.76
N  3.09  1.30  -1.20
Si  0.83  0.74  -3.36
C  2.32  -0.16  -4.07
C  0.89  2.52  -3.95
C  -0.69  -0.09  -4.08
C  -0.01  -1.32  1.29
C  -1.10  -0.34  1.57
C  -2.02  -0.58  2.61
C  -2.88  0.39  3.05
C  -2.84  1.65  2.46
C  -2.01  1.82  1.39
N  -1.19  0.85  0.92
Si  1.35  -0.89  2.58
C  0.59  -0.54  4.27
C  2.25  0.69  2.19
C  2.59  -2.28  2.82
Si  -0.57  -3.15  1.49
C  0.64  -4.34  0.68
C  -2.21  -3.42  0.63
C  -0.77  -3.77  3.26
H  3.23  -1.41  -1.54
H  2.90  -2.74  -0.40
H  3.18  -1.08  0.19
H  0.53  3.06  0.04
H  2.38  4.49  0.84
H  4.73  3.84  0.29
H  5.09  1.76  -1.02
H  3.24  0.13  -3.56
H  2.41  0.09  -5.13
H  2.21  -1.25  -3.99
H  1.64  3.09  -3.38
H  -0.08  3.01  -3.80
H  1.16  2.58  -5.01
H  -0.68  -1.17  -3.93
H  -0.73  0.09  -5.16
H  -1.61  0.31  -3.64
H  -2.00  -1.55  3.10
H  -3.58  0.19  3.86
H  -3.47  2.46  2.80
H  -1.99  2.76  0.85
H  0.00  0.38  4.26
H  1.41  -0.40  4.98
H  -0.05  -1.34  4.65
H  1.54  1.52  2.08
H  2.86  0.65  1.29
H  2.91  0.93  3.03
H  2.15  -3.11  3.37
H  3.42  -1.89  3.41
H  3.00  -2.66  1.88
H  0.80  -4.12  -0.38
H  0.21  -5.34  0.75
H  1.61  -4.36  1.18
H  -2.07  -3.46  -0.45
H  -2.96  -2.65  0.85
H  -2.62  -4.38  0.95
H  0.02  -3.42  3.92
H  -0.71  -4.86  3.23
H  -1.73  -3.50  3.70
Cl  -3.16  -1.01  -1.22
C  -3.46  0.64  -1.70
C  -2.41  1.55  -1.56
C  -2.73  2.86  -1.91
Cl  -1.49  4.07  -1.74
C  -3.98  3.26  -2.36
Cl  -4.30  4.90  -2.75
C  -4.99  2.30  -2.50
Cl  -6.55  2.75  -3.07
C  -4.72  0.97  -2.17
Cl  -5.95  -0.22  -2.33

## Properties
F_max ... 0.79 eV/Å
E_LUMO ... -0.242 eV
Calculated total energy ... -125821.7473 eV
HOMO level ... -7.9 eV

[2]
Here is C28H38Cl5InN2SbSi3 as an isolated structure in a non-equilibrium geometry from the Open Molecules 2025 dataset. Energies are from ωB97M-V/def2-TZVPD.

Atoms and positions in Å:
In  -0.45  -0.62  1.83
C  -1.47  1.62  -2.52
Sb  -0.96  -0.17  -1.43
C  -1.68  0.63  0.49
C  -1.14  1.89  1.02
C  -1.59  3.17  0.65
C  -1.06  4.28  1.28
C  -0.08  4.12  2.26
C  0.31  2.84  2.58
N  -0.20  1.76  1.98
Si  -3.53  0.37  0.85
C  -3.98  -1.38  0.34
C  -4.68  1.59  -0.01
C  -3.70  0.59  2.72
C  1.29  -0.16  -1.62
C  2.05  -0.81  -0.51
C  3.39  -1.18  -0.73
C  4.14  -1.82  0.22
C  3.56  -2.11  1.45
C  2.26  -1.73  1.64
N  1.52  -1.08  0.71
Si  1.37  -1.40  -3.14
C  1.00  -3.11  -2.44
C  3.03  -1.45  -4.05
C  0.10  -0.94  -4.47
Si  2.12  1.53  -2.06
C  4.02  1.52  -2.11
C  1.74  2.75  -0.68
C  1.63  2.15  -3.77
H  -2.53  1.81  -2.34
H  -1.33  1.45  -3.59
H  -0.88  2.48  -2.19
H  -2.36  3.26  -0.11
H  -1.41  5.27  1.01
H  0.35  4.97  2.76
H  1.06  2.65  3.34
H  -3.69  -1.60  -0.69
H  -5.06  -1.53  0.43
H  -3.50  -2.12  0.99
'''
### Here the piece continues

2. Unknown Author. (June 2017) “Danger Zone” (40 °F – 140 °F) U.S. Department of Agriculture

## Quantum chemistry results, as found in the file
-- begin --
[1]
Entry from the OMol25 dataset: C6H8O4Sr as an isolated structure at a distorted geometry (ωB97M-V/def2-TZVPD).

Its calculated total energy is -15374.494 eV. The orbital gap comes out at 4.766 eV. For the lowest unoccupied orbital energy, the calculation gives -1.54 eV. The charge is 0. The energy above the lowest of the compared OMol25 structures with the same formula, charge and spin comes out at 36.1 kJ/mol.

Atoms and positions in Å:
O (-1.59, 2.06, 0.76)
C (-2.48, 1.96, 1.71)
C (-3.45, 2.85, 2.01)
H (-2.50, 0.97, 2.24)
H (-3.59, 3.76, 1.43)
H (-4.04, 2.71, 2.92)
O (-0.11, 0.33, -2.28)
C (0.17, -0.79, -2.87)
C (0.90, -1.78, -2.29)
O (1.29, -1.42, -1.02)
C (1.95, -1.95, -0.09)
C (2.35, -0.98, 0.96)
O (1.72, 0.22, 0.87)
Sr (0.28, 1.12, -0.36)
H (-0.24, -0.97, -3.87)
H (1.27, -2.72, -2.70)
H (2.41, -2.93, -0.24)
H (3.46, -0.91, 0.88)
H (2.19, -1.53, 1.92)

Let us look at the Mulliken charges, expressed in e, one per atom:
1. O -0.910
2. C 0.050
3. C -0.852
4. H 0.191
5. H 0.228
6. H 0.237
7. O -0.913
8. C 0.127
9. C -0.488
10. O -0.129
11. C -0.014
12. C -0.362
13. O -1.040
14. Sr 2.165
15. H 0.371
16. H 0.354
17. H 0.378
18. H 0.293
19. H 0.312

[2]
Entry from the OMol25 dataset: C45H40BBr2N8OTa as an isolated structure (ωB97M-V/def2-TZVPD).

Its calculated total energy is -203589.804 eV. The orbital gap comes out at 6.263 eV. For the lowest unoccupied orbital energy, the calculation gives -6.54 eV. The charge is +2. The energy above the lowest of the compared OMol25 structures with the same formula, charge and spin comes out at 0.0 kJ/mol.

Atoms and positions in Å:
Ta (0.00, 0.02, 0.02)
C (-2.56, -2.22, 4.36)
C (-1.91, -1.11, 3.61)
C (-1.77, 0.22, 3.99)
C (-1.14, 0.87, 2.94)
N (-0.86, -0.05, 1.97)
N (-1.36, -1.26, 2.40)
B (-1.33, -2.53, 1.49)
N (-2.02, -2.23, 0.14)
N (-1.54, -1.24, -0.67)
C (-2.33, -1.18, -1.77)
C (-3.34, -2.12, -1.64)
C (-3.11, -2.76, -0.42)
C (-3.89, -3.87, 0.21)
C (-2.04, -0.23, -2.84)
C (-0.75, -0.14, -3.37)
C (-0.46, 0.79, -4.35)
C (-1.45, 1.64, -4.81)
C (-2.74, 1.55, -4.29)
C (-3.04, 0.62, -3.32)
N (0.14, -2.85, 1.18)
N (0.83, -2.08, 0.29)
C (2.05, -2.64, 0.17)
C (2.14, -3.74, 1.01)
C (0.91, -3.85, 1.63)
C (0.43, -4.88, 2.60)
C (3.08, -2.20, -0.79)
C (2.77, -2.11, -2.14)
C (3.76, -1.82, -3.06)
C (5.07, -1.61, -2.64)
C (5.38, -1.70, -1.29)
C (4.39, -2.00, -0.36)
C (-0.98, 2.33, 2.84)
C (-2.03, 3.11, 3.33)
C (-1.97, 4.49, 3.29)
C (-0.85, 5.12, 2.76)
C (0.20, 4.37, 2.26)
C (0.14, 2.98, 2.30)
H (-2.88, -1.87, 5.33)
H (-3.43, -2.59, 3.82)
H (-1.88, -3.06, 4.50)
H (-2.10, 0.66, 4.91)
H (-1.87, -3.42, 2.05)
H (-4.12, -2.35, -2.35)
H (-4.71, -4.15, -0.44)
H (-3.26, -4.74, 0.38)
H (-4.30, -3.56, 1.17)
H (0.01, -0.85, -3.05)
H (0.54, 0.84, -4.77)
H (-1.23, 2.37, -5.58)
H (-3.52, 2.22, -4.66)
H (-4.04, 0.56, -2.91)
H (2.98, -4.41, 1.10)
H (1.23, -5.57, 2.83)
H (0.11, -4.41, 3.54)
H (-0.41, -5.44, 2.20)
H (1.76, -2.32, -2.48)
H (3.52, -1.78, -4.12)
H (5.84, -1.39, -3.36)
H (6.40, -1.55, -0.95)
H (4.63, -2.10, 0.69)
-- stop --

Dominic Peterson
Hey there! My name is Dominic but everyone calls me “Dom.” Food is a huge part of my life and allows me to share my foodie experiences with the world.